Excerpt =
'''
Structure and calculated powder diffractogram of Li2V3SnO8 (DFT lattice parameters and positions (GGA+U); Cu Ka).
Kinematic intensities with the Lorentz-polarization factor, no thermal factor.

Peak list (6 most intense, 2θ = 10–90°, in order of rising 2θ)
(0 0 2), 17.96 deg, d = 4.938 Å, rel. 100.0
(1 -1 1), 33.92 deg, d = 2.643 Å, rel. 20.5
(1 0 3), 34.50 deg, d = 2.600 Å, rel. 11.7
(-1 1 3), 34.62 deg, d = 2.591 Å, rel. 24.2
(2 0 2), 41.88 deg, d = 2.157 Å, rel. 34.0
(0 2 4), 41.95 deg, d = 2.154 Å, rel. 17.0

Structure:
```
data_Li2V3SnO8
_chemical_formula_sum 'Li4 V6 Sn2 O16'
_symmetry_space_group_name_H-M 'P -1'
_symmetry_Int_Tables_number 2
_symmetry_space_group_name_Hall '-P 1'
_cell_length_a 6.0140
_cell_length_b 6.1704
_cell_length_c 10.4468
_cell_angle_alpha 73.79
_cell_angle_beta 89.93
_cell_angle_gamma 60.86
loop_
_atom_site_label
_atom_site_type_symbol
_atom_site_fract_x
_atom_site_fract_y
_atom_site_fract_z
_atom_site_occupancy
Li1 Li 0.0630 0.3654 0.1881 1
Li2 Li 0.4280 0.6350 0.3121 1
V1 V 0.0000 0.0000 0.0000 1
V2 V 0.0000 0.0000 0.5000 1
V3 V 0.2552 0.9998 0.7502 1
V4 V 0.5000 0.0000 0.0000 1
V5 V 0.5000 0.0000 0.5000 1
Sn1 Sn 0.0000 0.5000 0.5000 1
Sn2 Sn 0.5000 0.5000 0.0000 1
O1 O 0.0927 0.7678 0.3798 1
O2 O 0.1408 0.7681 0.8786 1
O3 O 0.1425 0.2324 0.3909 1
O4 O 0.1646 0.2003 0.8875 1
O5 O 0.3637 0.8002 0.6123 1
O6 O 0.3686 0.2322 0.6175 1
O7 O 0.3727 0.7685 0.1089 1
O8 O 0.3975 0.2334 0.1165 1
```

~~~~~

Rb3LuCl6: theoretical XRD peak list (λ = 1.5418 Å (Cu Kα)), based on a DFT-relaxed cell (PBE, the Materials Project).
Peak positions follow from Bragg's law for the DFT cell and can differ from measured ones.

Most intense lines, 2θ = 10–90°, by angle:
2θ (°)  d [Å]  I (rel.)
13.81  6.413  68.2
15.94  5.559  37.0
22.24  3.998  33.0
22.61  3.933  73.5
23.00  3.867  26.6
23.52  3.783  100.0
32.21  2.779  72.7
33.48  2.676  27.3
42.12  2.145  26.9
48.11  1.891  28.2

Structural model:
a b c (Å): 26.110 7.996 12.882
angles (deg): 90.00 99.59 90.00
Space group C2/c (No. 15)
Inequivalent atoms, fractional coordinates:
Rb 0.050 0.245 0.432 [8 per cell]
Rb 0.154 0.187 0.145 [8 per cell]
Rb 0.161 0.313 0.799 [8 per cell]
Lu 0.000 0.284 0.750 [4 per cell]
Lu 0.250 0.250 0.500 [4 per cell]
Cl 0.057 0.056 0.682 [8 per cell]
Cl 0.057 0.275 0.933 [8 per cell]
Cl 0.057 0.477 0.194 [8 per cell]
Cl 0.174 0.055 0.419 [8 per cell]
Cl 0.178 0.454 0.535 [8 per cell]
Cl 0.249 0.113 0.684 [8 per cell]

~~~~~

[1]
The following is a simulated X-ray powder pattern of Sr3LaCuRuO8. It was derived from a structure optimized by DFT (PBE), using λ = 1.5418 Å (Cu Kα).

Peak list (8 most intense, 10° ≤ 2θ ≤ 80°, by intensity)
- 31.04°, d = 2.881 Å, I 100
- 31.94°, d = 2.802 Å, I 71
- 56.35°, d = 1.633 Å, I 38
- 45.79°, d = 1.982 Å, I 38
- 43.16°, d = 2.096 Å, I 21
- 42.55°, d = 2.125 Å, I 18
- 54.65°, d = 1.679 Å, I 16
- 64.71°, d = 1.440 Å, I 14

Crystal structure
```
data_Sr3LaCuRuO8
_chemical_formula_sum 'Sr3 La1 Cu1 Ru1 O8'
_cell_length_a 5.609
_cell_length_b 6.888
_cell_length_c 6.888
_cell_angle_alpha 47.98
_cell_angle_beta 90.00
_cell_angle_gamma 90.00
_space_group_name_H-M_alt 'P 1'
_space_group_IT_number 1
_space_group_name_Hall 'P 1'
loop_
_atom_site_label
_atom_site_fract_x
_atom_site_fract_y
_atom_site_fract_z
_atom_site_occupancy
Sr1 0.000 0.000 0.000 1
Sr2 0.000 0.283 0.283 1
Sr3 0.500 0.497 0.497 1
La1 0.500 0.782 0.782 1
Cu1 0.500 0.141 0.141 1
Ru1 0.000 0.639 0.639 1
O1 0.000 0.480 0.480 1
O2 0.000 0.804 0.804 1
O3 0.249 0.400 0.887 1
O4 0.249 0.887 0.400 1
O5 0.500 0.307 0.307 1
O6 0.500 0.962 0.962 1
O7 0.751 0.400 0.887 1
O8 0.751 0.887 0.400 1
```

[2]
The following is a simulated X-ray powder pattern of BeZnH2S. It was derived from a structure optimized by DFT (PBE), using λ = 1.5418 Å (Cu Kα).

Peak list (8 most intense, 10° ≤ 2θ ≤ 80°, by intensity)
- 31.11°, d = 2.874 Å, I 100
- 32.23°, d = 2.777 Å, I 48
- 14.25°, d = 6.215 Å, I 42
- 46.21°, d = 1.965 Å, I 33
- 28.73°, d = 3.108 Å, I 32
'''

Brief =
Your job: echo only the last part of the material further up, starting with the line that has "0.1425 0.2324".

Completed =
O3 O 0.1425 0.2324 0.3909 1
O4 O 0.1646 0.2003 0.8875 1
O5 O 0.3637 0.8002 0.6123 1
O6 O 0.3686 0.2322 0.6175 1
O7 O 0.3727 0.7685 0.1089 1
O8 O 0.3975 0.2334 0.1165 1
```

~~~~~

Rb3LuCl6: theoretical XRD peak list (λ = 1.5418 Å (Cu Kα)), based on a DFT-relaxed cell (PBE, the Materials Project).
Peak positions follow from Bragg's law for the DFT cell and can differ from measured ones.

Most intense lines, 2θ = 10–90°, by angle:
2θ (°)  d [Å]  I (rel.)
13.81  6.413  68.2
15.94  5.559  37.0
22.24  3.998  33.0
22.61  3.933  73.5
23.00  3.867  26.6
23.52  3.783  100.0
32.21  2.779  72.7
33.48  2.676  27.3
42.12  2.145  26.9
48.11  1.891  28.2

Structural model:
a b c (Å): 26.110 7.996 12.882
angles (deg): 90.00 99.59 90.00
Space group C2/c (No. 15)
Inequivalent atoms, fractional coordinates:
Rb 0.050 0.245 0.432 [8 per cell]
Rb 0.154 0.187 0.145 [8 per cell]
Rb 0.161 0.313 0.799 [8 per cell]
Lu 0.000 0.284 0.750 [4 per cell]
Lu 0.250 0.250 0.500 [4 per cell]
Cl 0.057 0.056 0.682 [8 per cell]
Cl 0.057 0.275 0.933 [8 per cell]
Cl 0.057 0.477 0.194 [8 per cell]
Cl 0.174 0.055 0.419 [8 per cell]
Cl 0.178 0.454 0.535 [8 per cell]
Cl 0.249 0.113 0.684 [8 per cell]

~~~~~

[1]
The following is a simulated X-ray powder pattern of Sr3LaCuRuO8. It was derived from a structure optimized by DFT (PBE), using λ = 1.5418 Å (Cu Kα).

Peak list (8 most intense, 10° ≤ 2θ ≤ 80°, by intensity)
- 31.04°, d = 2.881 Å, I 100
- 31.94°, d = 2.802 Å, I 71
- 56.35°, d = 1.633 Å, I 38
- 45.79°, d = 1.982 Å, I 38
- 43.16°, d = 2.096 Å, I 21
- 42.55°, d = 2.125 Å, I 18
- 54.65°, d = 1.679 Å, I 16
- 64.71°, d = 1.440 Å, I 14

Crystal structure
```
data_Sr3LaCuRuO8
_chemical_formula_sum 'Sr3 La1 Cu1 Ru1 O8'
_cell_length_a 5.609
_cell_length_b 6.888
_cell_length_c 6.888
_cell_angle_alpha 47.98
_cell_angle_beta 90.00
_cell_angle_gamma 90.00
_space_group_name_H-M_alt 'P 1'
_space_group_IT_number 1
_space_group_name_Hall 'P 1'
loop_
_atom_site_label
_atom_site_fract_x
_atom_site_fract_y
_atom_site_fract_z
_atom_site_occupancy
Sr1 0.000 0.000 0.000 1
Sr2 0.000 0.283 0.283 1
Sr3 0.500 0.497 0.497 1
La1 0.500 0.782 0.782 1
Cu1 0.500 0.141 0.141 1
Ru1 0.000 0.639 0.639 1
O1 0.000 0.480 0.480 1
O2 0.000 0.804 0.804 1
O3 0.249 0.400 0.887 1
O4 0.249 0.887 0.400 1
O5 0.500 0.307 0.307 1
O6 0.500 0.962 0.962 1
O7 0.751 0.400 0.887 1
O8 0.751 0.887 0.400 1
```

[2]
The following is a simulated X-ray powder pattern of BeZnH2S. It was derived from a structure optimized by DFT (PBE), using λ = 1.5418 Å (Cu Kα).

Peak list (8 most intense, 10° ≤ 2θ ≤ 80°, by intensity)
- 31.11°, d = 2.874 Å, I 100
- 32.23°, d = 2.777 Å, I 48
- 14.25°, d = 6.215 Å, I 42
- 46.21°, d = 1.965 Å, I 33
- 28.73°, d = 3.108 Å, I 32